## Wanted
Retype only the last part of the listing further below, starting with the line that has "0.0862 0.2708".
## Listing
+++
The following is a DFT calculation (PBE) of a geometry-optimized K2ScP2Se7 structure.

Lattice parameters (Å, degrees): 12.0330 12.0330 20.2012 67.25 67.25 33.53
Last column: nearest neighbours and their distance in Å.
Fractional coordinates of all 48 atoms:
K: 0.6120 0.9842 0.6688  6 Se 3.38-3.68
K: 0.0158 0.3880 0.8312  6 Se 3.38-3.68
K: 0.3880 0.0158 0.3312  6 Se 3.38-3.68
K: 0.9842 0.6120 0.1688  6 Se 3.38-3.68
K: 0.9702 0.0389 0.1419  6 Se 3.41-3.61
K: 0.9611 0.0298 0.3581  6 Se 3.41-3.61
K: 0.0298 0.9611 0.8581  6 Se 3.41-3.61
K: 0.0389 0.9702 0.6419  6 Se 3.41-3.61
Sc: 0.1661 0.4991 0.5015  6 Se 2.71-2.79
Sc: 0.5009 0.8339 0.9985  6 Se 2.71-2.79
Sc: 0.8339 0.5009 0.4985  6 Se 2.71-2.79
Sc: 0.4991 0.1661 0.0015  6 Se 2.71-2.79
P: 0.4332 0.4654 0.5431  3 Se 2.16-2.25, 1 P 2.29
P: 0.5346 0.5668 0.9569  3 Se 2.16-2.25, 1 P 2.29
P: 0.5668 0.5346 0.4569  3 Se 2.16-2.25, 1 P 2.29
P: 0.4654 0.4332 0.0431  3 Se 2.16-2.25, 1 P 2.29
P: 0.0862 0.2708 0.6418  4 Se 2.17-2.29
P: 0.7292 0.9138 0.8582  4 Se 2.17-2.29
P: 0.9138 0.7292 0.3582  4 Se 2.17-2.29
P: 0.2708 0.0862 0.1418  4 Se 2.17-2.29
Se: 0.1009 0.7526 0.5311  1 P 2.25
Se: 0.2474 0.8991 0.9689  1 P 2.25
Se: 0.8991 0.2474 0.4689  1 P 2.25
Se: 0.7526 0.1009 0.0311  1 P 2.25
Se: 0.5626 0.2233 0.4996  1 P 2.24
Se: 0.7767 0.4374 0.0004  1 P 2.24
Se: 0.4374 0.7767 0.5004  1 P 2.24
Se: 0.2233 0.5626 0.9996  1 P 2.24
Se: 0.2250 0.2090 0.5237  1 P 2.29
Se: 0.7910 0.7750 0.9763  1 P 2.29
Se: 0.7750 0.7910 0.4763  1 P 2.29
Se: 0.2090 0.2250 0.0237  1 P 2.29
Se: 0.0688 0.4676 0.6484  1 P 2.25
Se: 0.5324 0.9312 0.8516  1 P 2.25
Se: 0.9312 0.5324 0.3516  1 P 2.25
Se: 0.4676 0.0688 0.1484  1 P 2.25
Se: 0.2180 0.5550 0.3543  1 P 2.22
Se: 0.4450 0.7820 0.1457  1 P 2.22
Se: 0.7820 0.4450 0.6457  1 P 2.22
Se: 0.5550 0.2180 0.8543  1 P 2.22
Se: 0.4964 0.3852 0.6509  1 P 2.16
Se: 0.6148 0.5036 0.8491  1 P 2.16
Se: 0.5036 0.6148 0.3491  1 P 2.16
Se: 0.3852 0.4964 0.1509  1 P 2.16
Se: 0.7230 0.0053 0.2825  1 P 2.17
Se: 0.9947 0.2770 0.2175  1 P 2.17
Se: 0.2770 0.9947 0.7175  1 P 2.17
Se: 0.0053 0.7230 0.7825  1 P 2.17

Values from the calculation:
- calculated total energy (eV per atom) = -4.462

----------

No. 1
Sr8MnFe7O24: relaxed, PBE with a Hubbard U.

Calculated values
MP2020-corrected energy ... -290.93 eV/cell
Calculated formation energy ... -2255 meV per atom
Total magnetization ... 33.110 μB/f.u.
Volume ... 11.97 Å³/atom
Space group ... Pm-3m (221)
ρ ... 5.309 g/cm3

a b c (Å): 7.823 7.823 7.823
angles (deg): 90.00 90.00 90.00
Fractional positions:
Sr: 0.250 0.250 0.250
Sr: 0.250 0.250 0.750
Sr: 0.250 0.750 0.250
Sr: 0.250 0.750 0.750
Sr: 0.750 0.250 0.250
Sr: 0.750 0.250 0.750
Sr: 0.750 0.750 0.250
Sr: 0.750 0.750 0.750
Mn: 0.000 0.000 0.000
Fe: 0.000 0.000 0.500
Fe: 0.000 0.500 0.000
Fe: 0.000 0.500 0.500
Fe: 0.500 0.000 0.000
Fe: 0.500 0.000 0.500
Fe: 0.500 0.500 0.000
Fe: 0.500 0.500 0.500
O: 0.000 0.000 0.247
O: 0.000 0.000 0.753
O: 0.000 0.247 0.000
O: 0.000 0.251 0.500
O: 0.000 0.500 0.251
O: 0.000 0.500 0.749
O: 0.000 0.749 0.500
O: 0.000 0.753 0.000
O: 0.247 0.000 0.000
O: 0.249 0.500 0.500
O: 0.251 0.000 0.500
O: 0.251 0.500 0.000
O: 0.500 0.000 0.251
O: 0.500 0.000 0.749
O: 0.500 0.249 0.500
O: 0.500 0.251 0.000
O: 0.500 0.500 0.249
O: 0.500 0.500 0.751
O: 0.500 0.749 0.000
O: 0.500 0.751 0.500
O: 0.749 0.000 0.500
O: 0.749 0.500 0.000
O: 0.751 0.500 0.500
O: 0.753 0.000 0.000


No. 2
Sr8MnFe7O20: relaxed, PBE with a Hubbard U.

Calculated values
MP2020-corrected energy ... -1067.02 eV/cell
Calculated formation energy ... -2384 meV per atom
Total magnetization ... 38.920 μB/f.u.
Volume ... 14.14 Å³/atom
Space group ... Cm (8)
ρ ... 4.784 g/cm3

a b c (Å): 17.756 17.756 11.208
angles (deg): 108.39 108.39 126.32
Fractional positions:
Sr: 0.069 0.427 0.998
Sr: 0.069 0.428 0.498
Sr: 0.070 0.930 0.000
Sr: 0.071 0.931 0.500
Sr: 0.192 0.334 0.012
Sr: 0.194 0.336 0.514
Sr: 0.196 0.837 0.016
Sr: 0.196 0.837 0.517
Sr: 0.334 0.192 0.012
Sr: 0.336 0.194 0.514
Sr: 0.337 0.696 0.016
+++
## Reply
P: 0.0862 0.2708 0.6418  4 Se 2.17-2.29
P: 0.7292 0.9138 0.8582  4 Se 2.17-2.29
P: 0.9138 0.7292 0.3582  4 Se 2.17-2.29
P: 0.2708 0.0862 0.1418  4 Se 2.17-2.29
Se: 0.1009 0.7526 0.5311  1 P 2.25
Se: 0.2474 0.8991 0.9689  1 P 2.25
Se: 0.8991 0.2474 0.4689  1 P 2.25
Se: 0.7526 0.1009 0.0311  1 P 2.25
Se: 0.5626 0.2233 0.4996  1 P 2.24
Se: 0.7767 0.4374 0.0004  1 P 2.24
Se: 0.4374 0.7767 0.5004  1 P 2.24
Se: 0.2233 0.5626 0.9996  1 P 2.24
Se: 0.2250 0.2090 0.5237  1 P 2.29
Se: 0.7910 0.7750 0.9763  1 P 2.29
Se: 0.7750 0.7910 0.4763  1 P 2.29
Se: 0.2090 0.2250 0.0237  1 P 2.29
Se: 0.0688 0.4676 0.6484  1 P 2.25
Se: 0.5324 0.9312 0.8516  1 P 2.25
Se: 0.9312 0.5324 0.3516  1 P 2.25
Se: 0.4676 0.0688 0.1484  1 P 2.25
Se: 0.2180 0.5550 0.3543  1 P 2.22
Se: 0.4450 0.7820 0.1457  1 P 2.22
Se: 0.7820 0.4450 0.6457  1 P 2.22
Se: 0.5550 0.2180 0.8543  1 P 2.22
Se: 0.4964 0.3852 0.6509  1 P 2.16
Se: 0.6148 0.5036 0.8491  1 P 2.16
Se: 0.5036 0.6148 0.3491  1 P 2.16
Se: 0.3852 0.4964 0.1509  1 P 2.16
Se: 0.7230 0.0053 0.2825  1 P 2.17
Se: 0.9947 0.2770 0.2175  1 P 2.17
Se: 0.2770 0.9947 0.7175  1 P 2.17
Se: 0.0053 0.7230 0.7825  1 P 2.17

Values from the calculation:
- calculated total energy (eV per atom) = -4.462

----------

No. 1
Sr8MnFe7O24: relaxed, PBE with a Hubbard U.

Calculated values
MP2020-corrected energy ... -290.93 eV/cell
Calculated formation energy ... -2255 meV per atom
Total magnetization ... 33.110 μB/f.u.
Volume ... 11.97 Å³/atom
Space group ... Pm-3m (221)
ρ ... 5.309 g/cm3

a b c (Å): 7.823 7.823 7.823
angles (deg): 90.00 90.00 90.00
Fractional positions:
Sr: 0.250 0.250 0.250
Sr: 0.250 0.250 0.750
Sr: 0.250 0.750 0.250
Sr: 0.250 0.750 0.750
Sr: 0.750 0.250 0.250
Sr: 0.750 0.250 0.750
Sr: 0.750 0.750 0.250
Sr: 0.750 0.750 0.750
Mn: 0.000 0.000 0.000
Fe: 0.000 0.000 0.500
Fe: 0.000 0.500 0.000
Fe: 0.000 0.500 0.500
Fe: 0.500 0.000 0.000
Fe: 0.500 0.000 0.500
Fe: 0.500 0.500 0.000
Fe: 0.500 0.500 0.500
O: 0.000 0.000 0.247
O: 0.000 0.000 0.753
O: 0.000 0.247 0.000
O: 0.000 0.251 0.500
O: 0.000 0.500 0.251
O: 0.000 0.500 0.749
O: 0.000 0.749 0.500
O: 0.000 0.753 0.000
O: 0.247 0.000 0.000
O: 0.249 0.500 0.500
O: 0.251 0.000 0.500
O: 0.251 0.500 0.000
O: 0.500 0.000 0.251
O: 0.500 0.000 0.749
O: 0.500 0.249 0.500
O: 0.500 0.251 0.000
O: 0.500 0.500 0.249
O: 0.500 0.500 0.751
O: 0.500 0.749 0.000
O: 0.500 0.751 0.500
O: 0.749 0.000 0.500
O: 0.749 0.500 0.000
O: 0.751 0.500 0.500
O: 0.753 0.000 0.000


No. 2
Sr8MnFe7O20: relaxed, PBE with a Hubbard U.

Calculated values
MP2020-corrected energy ... -1067.02 eV/cell
Calculated formation energy ... -2384 meV per atom
Total magnetization ... 38.920 μB/f.u.
Volume ... 14.14 Å³/atom
Space group ... Cm (8)
ρ ... 4.784 g/cm3

a b c (Å): 17.756 17.756 11.208
angles (deg): 108.39 108.39 126.32
Fractional positions:
Sr: 0.069 0.427 0.998
Sr: 0.069 0.428 0.498
Sr: 0.070 0.930 0.000
Sr: 0.071 0.931 0.500
Sr: 0.192 0.334 0.012
Sr: 0.194 0.336 0.514
Sr: 0.196 0.837 0.016
Sr: 0.196 0.837 0.517
Sr: 0.334 0.192 0.012
Sr: 0.336 0.194 0.514
Sr: 0.337 0.696 0.016